[Contents]
-- begin --
(1)
CaMgTlGa | PBE | optimized geometry

V: 386.7 Å³/cell
crystal system: cubic
final energy: -2.53 eV/atom

Cell: 7.2853 7.2853 7.2853 Å, 90.00 90.00 90.00°
Atoms (fractional coordinates):
Ca 0.0000 0.0000 0.0000
Ca 0.0000 0.5000 0.5000
Ca 0.5000 0.0000 0.5000
Ca 0.5000 0.5000 0.0000
Mg 0.0000 0.0000 0.5000
Mg 0.0000 0.5000 0.0000
Mg 0.5000 0.0000 0.0000
Mg 0.5000 0.5000 0.5000
Tl 0.2500 0.2500 0.7500
Tl 0.2500 0.7500 0.2500
Tl 0.7500 0.2500 0.2500
Tl 0.7500 0.7500 0.7500
Ga 0.2500 0.2500 0.2500
Ga 0.2500 0.7500 0.7500
Ga 0.7500 0.2500 0.7500
Ga 0.7500 0.7500 0.2500

(2)
CaMg2Zn2Ga2 | PBE | optimized geometry

V: 143.7 Å³/cell
crystal system: trigonal
final energy: -2.24 eV/atom

Cell: 8.9416 8.9416 8.9416 Å, 28.48 28.48 28.48°
Atoms (fractional coordinates):
Ca 0.0000 0.0000 0.0000
Mg 0.1352 0.1352 0.1352
Mg 0.8648 0.8648 0.8648
Zn 0.4141 0.4141 0.4141
Zn 0.5859 0.5859 0.5859
Ga 0.2527 0.2527 0.2527
Ga 0.7473 0.7473 0.7473

(3)
CaMgZn2Ga2 | PBE | optimized geometry

V: 118.8 Å³/cell
crystal system: trigonal
final energy: -2.33 eV/atom

Cell: 4.3891 4.3891 7.1216 Å, 90.00 90.00 120.00°
Atoms (fractional coordinates):
Ca 0.0000 0.0000 0.0000
Mg 0.0000 0.0000 0.5000
Zn 0.3333 0.6667 0.7122
Zn 0.6667 0.3333 0.2878
Ga 0.3333 0.6667 0.2718
Ga 0.6667 0.3333 0.7282

(4)
CaMn2Ga2 | PBE | optimized geometry

V: 174.0 Å³/cell
crystal system: tetragonal
final energy: -5.22 eV/atom

Cell: 4.3734 4.3734 9.0984 Å, 90.00 90.00 90.00°
Atoms (fractional coordinates):
Ca 0.0000 0.0000 0.0000
Ca 0.5000 0.5000 0.5000
Mn 0.0000 0.0000 0.3917
Mn 0.0000 0.0000 0.6083
Mn 0.5000 0.5000 0.1083
Mn 0.5000 0.5000 0.8917
Ga 0.0000 0.5000 0.2500
Ga 0.0000 0.5000 0.7500
Ga 0.5000 0.0000 0.2500
Ga 0.5000 0.0000 0.7500

(5)
CaMn2Ga | PBE | optimized geometry

V: 332.8 Å³/cell
crystal system: tetragonal
final energy: -5.39 eV/atom

Cell: 4.3372 4.3372 17.6907 Å, 90.00 90.00 90.00°
Atoms (fractional coordinates):
Ca 0.0000 0.0000 0.0000
Ca 0.0000 0.5000 0.2500
Ca 0.5000 0.0000 0.7500
Ca 0.5000 0.5000 0.5000
Mn 0.0164 0.2500 0.6250
Mn 0.2500 0.5164 0.8750
Mn 0.2500 0.9836 0.3750
Mn 0.4836 0.2500 0.1250
Mn 0.5164 0.7500 0.1250
Mn 0.7500 0.0164 0.3750
Mn 0.7500 0.4836 0.8750
Mn 0.9836 0.7500 0.6250
Ga 0.0000 0.0000 0.5000
Ga 0.0000 0.5000 0.7500
Ga 0.5000 0.0000 0.2500
Ga 0.5000 0.5000 0.0000

(6)
Ca2MnGaN | PBE | optimized geometry

V: 96.9 Å³/cell
crystal system: tetragonal
final energy: -5.38 eV/atom
formation energy from raw total energies: -476 meV per atom

Cell: 5.0134 5.0134 3.8555 Å, 90.00 90.00 90.00°
Atoms (fractional coordinates):
Ca 0.0000 0.5000 0.0000
Ca 0.5000 0.0000 0.0000
Mn 0.0000 0.0000 0.5000
Ga 0.5000 0.5000 0.5000
N 0.0000 0.0000 0.0000

Question: Number 3 is which compound?
Answer: CaMgZn2Ga2

Repeat the third record exactly.
CaMgZn2Ga2 | PBE | optimized geometry

V: 118.8 Å³/cell
crystal system: trigonal
final energy: -2.33 eV/atom

Cell: 4.3891 4.3891 7.1216 Å, 90.00 90.00 120.00°
Atoms (fractional coordinates):
Ca 0.0000 0.0000 0.0000
Mg 0.0000 0.0000 0.5000
Zn 0.3333 0.6667 0.7122
Zn 0.6667 0.3333 0.2878
Ga 0.3333 0.6667 0.2718
Ga 0.6667 0.3333 0.7282

Question: The lowest final energy belongs to which entry?
Answer: CaMn2Ga

Question: What is the final energy in the fourth record?
Answer: -5.22 eV/atom

----------

1 | 3
Lattice="4.677 0.000 0.000 -2.338 4.050 0.000 0.000 0.000 2.877" Properties=species:S:1:pos:R:3 comment="ZrAgPt | Alexandria via LeMat-Bulk | PBE | relaxed" sg="No. 156" pbc="T T T"
Zr 0.000 0.000 0.000
Ag 2.338 1.350 1.271
Pt 0.000 2.700 1.801

=====

2 | 3
Lattice="0.000 3.204 3.204 3.204 0.000 3.204 3.204 3.204 0.000" Properties=species:S:1:pos:R:3 comment="ZrAgPt | Alexandria via LeMat-Bulk | PBE | relaxed" sg="No. 216" pbc="T T T"
Zr 0.000 0.000 0.000
Ag 4.806 4.806 4.806
Pt 1.602 1.602 1.602

=====

Which of them is the most stable, and which is the least stable? 1 and 2, in that order.

----------

[1]
## CsSeN2F (PBE-GGA)

Data for a geometry-optimized CsSeN2F structure. Values from VASP.

Output
-- stop --

[Wanted]
Please set down only the last part of the lines further above, starting with the line that has "0.2500 0.5164".

[Here it is]
Mn 0.2500 0.5164 0.8750
Mn 0.2500 0.9836 0.3750
Mn 0.4836 0.2500 0.1250
Mn 0.5164 0.7500 0.1250
Mn 0.7500 0.0164 0.3750
Mn 0.7500 0.4836 0.8750
Mn 0.9836 0.7500 0.6250
Ga 0.0000 0.0000 0.5000
Ga 0.0000 0.5000 0.7500
Ga 0.5000 0.0000 0.2500
Ga 0.5000 0.5000 0.0000

(6)
Ca2MnGaN | PBE | optimized geometry

V: 96.9 Å³/cell
crystal system: tetragonal
final energy: -5.38 eV/atom
formation energy from raw total energies: -476 meV per atom

Cell: 5.0134 5.0134 3.8555 Å, 90.00 90.00 90.00°
Atoms (fractional coordinates):
Ca 0.0000 0.5000 0.0000
Ca 0.5000 0.0000 0.0000
Mn 0.0000 0.0000 0.5000
Ga 0.5000 0.5000 0.5000
N 0.0000 0.0000 0.0000

Question: Number 3 is which compound?
Answer: CaMgZn2Ga2

Repeat the third record exactly.
CaMgZn2Ga2 | PBE | optimized geometry

V: 118.8 Å³/cell
crystal system: trigonal
final energy: -2.33 eV/atom

Cell: 4.3891 4.3891 7.1216 Å, 90.00 90.00 120.00°
Atoms (fractional coordinates):
Ca 0.0000 0.0000 0.0000
Mg 0.0000 0.0000 0.5000
Zn 0.3333 0.6667 0.7122
Zn 0.6667 0.3333 0.2878
Ga 0.3333 0.6667 0.2718
Ga 0.6667 0.3333 0.7282

Question: The lowest final energy belongs to which entry?
Answer: CaMn2Ga

Question: What is the final energy in the fourth record?
Answer: -5.22 eV/atom

----------

1 | 3
Lattice="4.677 0.000 0.000 -2.338 4.050 0.000 0.000 0.000 2.877" Properties=species:S:1:pos:R:3 comment="ZrAgPt | Alexandria via LeMat-Bulk | PBE | relaxed" sg="No. 156" pbc="T T T"
Zr 0.000 0.000 0.000
Ag 2.338 1.350 1.271
Pt 0.000 2.700 1.801

=====

2 | 3
Lattice="0.000 3.204 3.204 3.204 0.000 3.204 3.204 3.204 0.000" Properties=species:S:1:pos:R:3 comment="ZrAgPt | Alexandria via LeMat-Bulk | PBE | relaxed" sg="No. 216" pbc="T T T"
Zr 0.000 0.000 0.000
Ag 4.806 4.806 4.806
Pt 1.602 1.602 1.602

=====

Which of them is the most stable, and which is the least stable? 1 and 2, in that order.

----------

[1]
## CsSeN2F (PBE-GGA)

Data for a geometry-optimized CsSeN2F structure. Values from VASP.

Output